Entries
- - -
Record 1
Structure and calculated powder diffractogram of PrMgTl2 (a structure optimized by DFT (PBE); Cu Kα X-rays).

Cell and atoms:
Lattice parameters (Å, degrees): 7.624 7.624 7.624 90.00 90.00 90.00
Space group Fm-3m (No. 225)
One atom of each set of equivalent atoms:
Pr1 0.000 0.000 0.000
Mg1 0.000 0.000 0.500
Tl1 0.250 0.250 0.250

Principal peaks in the range 2θ from 10° to 90°, low angle first:
2θ = 20.17°, 4.402 Å, I 9.7, hkl 1 1 1
2θ = 23.34°, 3.812 Å, I 19.8, hkl 2 0 0
2θ = 33.24°, 2.695 Å, I 100.0, hkl 2 2 0
2θ = 39.19°, 2.299 Å, I 5.4, hkl 3 1 1
2θ = 41.01°, 2.201 Å, I 6.3, hkl 2 2 2
2θ = 47.72°, 1.906 Å, I 18.4, hkl 4 0 0
2θ = 53.77°, 1.705 Å, I 8.9, hkl 4 2 0
2θ = 59.39°, 1.556 Å, I 38.5, hkl 4 2 2
2θ = 69.78°, 1.348 Å, I 11.9, hkl 4 4 0
2θ = 79.51°, 1.205 Å, I 16.7, hkl 6 2 0



Record 2
Structure and calculated powder diffractogram of PrTmMg2 (a structure optimized by DFT (PBE); Cu Kα X-rays).

Cell and atoms:
Lattice parameters (Å, degrees): 7.661 7.661 7.661 90.00 90.00 90.00
Space group Fm-3m (No. 225)
One atom of each set of equivalent atoms:
Pr1 0.000 0.000 0.000
Tm1 0.000 0.000 0.500
Mg1 0.250 0.250 0.250

Principal peaks in the range 2θ from 10° to 90°, low angle first:
2θ = 23.22°, 3.830 Å, I 61.9, hkl 2 0 0
2θ = 33.07°, 2.709 Å, I 100.0, hkl 2 2 0
2θ = 40.80°, 2.211 Å, I 19.2, hkl 2 2 2
2θ = 47.47°, 1.915 Å, I 18.2, hkl 4 0 0
2θ = 53.49°, 1.713 Å, I 26.5, hkl 4 2 0
2θ = 59.07°, 1.564 Å, I 37.7, hkl 4 2 2
2θ = 69.40°, 1.354 Å, I 11.6, hkl 4 4 0
2θ = 74.28°, 1.277 Å, I 12.6, hkl 6 0 0
2θ = 79.06°, 1.211 Å, I 16.1, hkl 6 2 0
2θ = 83.75°, 1.155 Å, I 7.6, hkl 6 2 2



Record 3
Structure and calculated powder diffractogram of PrYMg6 (a structure optimized by DFT (PBE); Cu Kα X-rays).

Cell and atoms:
Lattice parameters (Å, degrees): 5.2091 5.2091 25.6549 90.00 90.00 120.00
Space group R-3m (No. 166, hexagonal axes)
One atom of each set of equivalent atoms:
Pr1 0.0000 0.0000 0.0000
Y1 0.0000 0.0000 0.5000
Mg1 0.0000 0.0000 0.1256
Mg2 0.0000 0.0000 0.2494
Mg3 0.0000 0.0000 0.3761

Principal peaks in the range 2θ from 10° to 90°, low angle first:
2θ = 20.85°, 4.261 Å, I 100.0, hkl 0 1 2
2θ = 24.12°, 3.690 Å, I 52.8, hkl 1 0 4
2θ = 34.31°, 2.614 Å, I 97.4, hkl 0 1 8
2θ = 34.43°, 2.605 Å, I 96.5, hkl 1 1 0
2θ = 40.57°, 2.223 Å, I 39.8, hkl 2 0 2
2θ = 49.40°, 1.845 Å, I 34.0, hkl 2 0 8
2θ = 61.36°, 1.511 Å, I 17.3, hkl 1 0 16
2θ = 61.63°, 1.505 Å, I 51.4, hkl 3 0 0
2θ = 82.60°, 1.168 Å, I 14.4, hkl 2 1 16
2θ = 82.81°, 1.166 Å, I 14.3, hkl 3 1 8



Record 4
Structure and calculated powder diffractogram of PrYMg4 (a structure optimized by DFT (PBE); Cu Kα X-rays).

Cell and atoms:
Lattice parameters (Å, degrees): 8.639 8.639 8.639 90.00 90.00 90.00
Space group F-43m (No. 216)
One atom of each set of equivalent atoms:
Pr1 0.000 0.000 0.000
Y1 0.250 0.250 0.750
Mg1 0.125 0.125 0.375

Principal peaks in the range 2θ from 10° to 90°, low angle first:
2θ = 17.78°, 4.988 Å, I 49.3, hkl 1 1 1
2θ = 29.24°, 3.054 Å, I 87.2, hkl 2 2 0
2θ = 34.43°, 2.605 Å, I 100.0, hkl 3 1 1
2θ = 45.78°, 1.982 Å, I 13.2, hkl 3 3 1
2θ = 51.84°, 1.764 Å, I 34.7, hkl 4 2 2
2θ = 55.25°, 1.663 Å, I 33.6, hkl 5 1 1
2θ = 60.63°, 1.527 Å, I 22.1, hkl 4 4 0
2θ = 68.72°, 1.366 Å, I 14.7, hkl 6 2 0
2θ = 83.79°, 1.154 Å, I 17.1, hkl 6 4 2
2θ = 86.54°, 1.125 Å, I 20.6, hkl 7 3 1



Record 5
Structure and calculated powder diffractogram of MgPt5 (a structure optimized by DFT (PBE); Cu Kα X-rays).

Cell and atoms:
Lattice parameters (Å, degrees): 4.8920 4.8920 4.5625 90.00 90.00 120.00
Space group P-62m (No. 189)
One atom of each set of equivalent atoms:
Mg1 0.0000 0.0000 0.0000
Pt1 0.0000 0.6600 0.5000
Pt2 0.3333 0.6667 0.0000

Principal peaks in the range 2θ from 10° to 90°, low angle first:
2θ = 20.97°, 4.237 Å, I 12.8, hkl 1 0 0
2θ = 28.76°, 3.105 Å, I 8.6, hkl 1 0 1
2θ = 36.74°, 2.446 Å, I 25.7, hkl 1 1 0
2θ = 39.50°, 2.281 Å, I 26.0, hkl 0 0 2
2θ = 41.91°, 2.156 Å, I 100.0, hkl 1 1 1
2θ = 55.05°, 1.668 Å, I 16.3, hkl 1 1 2
- - -

Assignment
It remains to give back everything further up exactly.

Result
Record 1
Structure and calculated powder diffractogram of PrMgTl2 (a structure optimized by DFT (PBE); Cu Kα X-rays).

Cell and atoms:
Lattice parameters (Å, degrees): 7.624 7.624 7.624 90.00 90.00 90.00
Space group Fm-3m (No. 225)
One atom of each set of equivalent atoms:
Pr1 0.000 0.000 0.000
Mg1 0.000 0.000 0.500
Tl1 0.250 0.250 0.250

Principal peaks in the range 2θ from 10° to 90°, low angle first:
2θ = 20.17°, 4.402 Å, I 9.7, hkl 1 1 1
2θ = 23.34°, 3.812 Å, I 19.8, hkl 2 0 0
2θ = 33.24°, 2.695 Å, I 100.0, hkl 2 2 0
2θ = 39.19°, 2.299 Å, I 5.4, hkl 3 1 1
2θ = 41.01°, 2.201 Å, I 6.3, hkl 2 2 2
2θ = 47.72°, 1.906 Å, I 18.4, hkl 4 0 0
2θ = 53.77°, 1.705 Å, I 8.9, hkl 4 2 0
2θ = 59.39°, 1.556 Å, I 38.5, hkl 4 2 2
2θ = 69.78°, 1.348 Å, I 11.9, hkl 4 4 0
2θ = 79.51°, 1.205 Å, I 16.7, hkl 6 2 0



Record 2
Structure and calculated powder diffractogram of PrTmMg2 (a structure optimized by DFT (PBE); Cu Kα X-rays).

Cell and atoms:
Lattice parameters (Å, degrees): 7.661 7.661 7.661 90.00 90.00 90.00
Space group Fm-3m (No. 225)
One atom of each set of equivalent atoms:
Pr1 0.000 0.000 0.000
Tm1 0.000 0.000 0.500
Mg1 0.250 0.250 0.250

Principal peaks in the range 2θ from 10° to 90°, low angle first:
2θ = 23.22°, 3.830 Å, I 61.9, hkl 2 0 0
2θ = 33.07°, 2.709 Å, I 100.0, hkl 2 2 0
2θ = 40.80°, 2.211 Å, I 19.2, hkl 2 2 2
2θ = 47.47°, 1.915 Å, I 18.2, hkl 4 0 0
2θ = 53.49°, 1.713 Å, I 26.5, hkl 4 2 0
2θ = 59.07°, 1.564 Å, I 37.7, hkl 4 2 2
2θ = 69.40°, 1.354 Å, I 11.6, hkl 4 4 0
2θ = 74.28°, 1.277 Å, I 12.6, hkl 6 0 0
2θ = 79.06°, 1.211 Å, I 16.1, hkl 6 2 0
2θ = 83.75°, 1.155 Å, I 7.6, hkl 6 2 2



Record 3
Structure and calculated powder diffractogram of PrYMg6 (a structure optimized by DFT (PBE); Cu Kα X-rays).

Cell and atoms:
Lattice parameters (Å, degrees): 5.2091 5.2091 25.6549 90.00 90.00 120.00
Space group R-3m (No. 166, hexagonal axes)
One atom of each set of equivalent atoms:
Pr1 0.0000 0.0000 0.0000
Y1 0.0000 0.0000 0.5000
Mg1 0.0000 0.0000 0.1256
Mg2 0.0000 0.0000 0.2494
Mg3 0.0000 0.0000 0.3761

Principal peaks in the range 2θ from 10° to 90°, low angle first:
2θ = 20.85°, 4.261 Å, I 100.0, hkl 0 1 2
2θ = 24.12°, 3.690 Å, I 52.8, hkl 1 0 4
2θ = 34.31°, 2.614 Å, I 97.4, hkl 0 1 8
2θ = 34.43°, 2.605 Å, I 96.5, hkl 1 1 0
2θ = 40.57°, 2.223 Å, I 39.8, hkl 2 0 2
2θ = 49.40°, 1.845 Å, I 34.0, hkl 2 0 8
2θ = 61.36°, 1.511 Å, I 17.3, hkl 1 0 16
2θ = 61.63°, 1.505 Å, I 51.4, hkl 3 0 0
2θ = 82.60°, 1.168 Å, I 14.4, hkl 2 1 16
2θ = 82.81°, 1.166 Å, I 14.3, hkl 3 1 8



Record 4
Structure and calculated powder diffractogram of PrYMg4 (a structure optimized by DFT (PBE); Cu Kα X-rays).

Cell and atoms:
Lattice parameters (Å, degrees): 8.639 8.639 8.639 90.00 90.00 90.00
Space group F-43m (No. 216)
One atom of each set of equivalent atoms:
Pr1 0.000 0.000 0.000
Y1 0.250 0.250 0.750
Mg1 0.125 0.125 0.375

Principal peaks in the range 2θ from 10° to 90°, low angle first:
2θ = 17.78°, 4.988 Å, I 49.3, hkl 1 1 1
2θ = 29.24°, 3.054 Å, I 87.2, hkl 2 2 0
2θ = 34.43°, 2.605 Å, I 100.0, hkl 3 1 1
2θ = 45.78°, 1.982 Å, I 13.2, hkl 3 3 1
2θ = 51.84°, 1.764 Å, I 34.7, hkl 4 2 2
2θ = 55.25°, 1.663 Å, I 33.6, hkl 5 1 1
2θ = 60.63°, 1.527 Å, I 22.1, hkl 4 4 0
2θ = 68.72°, 1.366 Å, I 14.7, hkl 6 2 0
2θ = 83.79°, 1.154 Å, I 17.1, hkl 6 4 2
2θ = 86.54°, 1.125 Å, I 20.6, hkl 7 3 1



Record 5
Structure and calculated powder diffractogram of MgPt5 (a structure optimized by DFT (PBE); Cu Kα X-rays).

Cell and atoms:
Lattice parameters (Å, degrees): 4.8920 4.8920 4.5625 90.00 90.00 120.00
Space group P-62m (No. 189)
One atom of each set of equivalent atoms:
Mg1 0.0000 0.0000 0.0000
Pt1 0.0000 0.6600 0.5000
Pt2 0.3333 0.6667 0.0000

Principal peaks in the range 2θ from 10° to 90°, low angle first:
2θ = 20.97°, 4.237 Å, I 12.8, hkl 1 0 0
2θ = 28.76°, 3.105 Å, I 8.6, hkl 1 0 1
2θ = 36.74°, 2.446 Å, I 25.7, hkl 1 1 0
2θ = 39.50°, 2.281 Å, I 26.0, hkl 0 0 2
2θ = 41.91°, 2.156 Å, I 100.0, hkl 1 1 1
2θ = 55.05°, 1.668 Å, I 16.3, hkl 1 1 2